Will Self-Driving Cars Slow City Traffic to a Standstill?
The automation revolution is underway, with multiple automakers pursuing fully autonomous vehicles. But experts warn that swarms of self-driving cars searching for cheap parking could slow traffic in some cities to just two mph unless lawmakers put preventative policies in place to regulate self-parking cars.
Self-parking cars will transform cities

-- begin --
No. 1
Formula: C2H3BrS
Source: the OMol25 dataset
Level of theory: ωB97M-V with the def2-TZVPD basis set

Structure (XYZ):
```
7
Properties=species:S:1:pos:R:3
Br 0.005 2.087 0.619
C 1.315 -0.967 -1.308
H 0.697 1.788 -0.555
H -0.505 -1.200 -2.367
H -0.366 -1.844 -0.507
C 0.090 -1.408 -1.522
S 2.821 -0.696 -0.941
```

Calculated values
HOMO-LUMO gap ... 8.5 eV
Multiplicity ... 1
Structure (SMILES) ... C=C=S.Br
Total charge ... 0
LUMO energy ... -0.341 eV

No. 2
Formula: C2H3BrS
Source: the OMol25 dataset
Level of theory: ωB97M-V with the def2-TZVPD basis set

Structure (XYZ):
```
7
Properties=species:S:1:pos:R:3
H 0.511 0.183 1.212
S -0.362 2.506 2.011
Br -2.931 1.214 0.283
C -0.107 0.266 0.215
H 0.658 0.741 -0.452
C -1.020 1.301 0.610
H -0.590 -0.527 -0.351
```

Calculated values
HOMO-LUMO gap ... 7.4 eV
Multiplicity ... 1
Structure (SMILES) ... CC(=S)Br
Total charge ... 0
LUMO energy ... -1.408 eV

No. 3
Formula: C2H3CdO2
Source: the OMol25 dataset
Level of theory: ωB97M-V with the def2-TZVPD basis set

Structure (XYZ):
```
8
Properties=species:S:1:pos:R:3
H 1.646 -0.432 -1.313
Cd -1.562 -0.507 0.778
O -0.074 0.641 2.014
O -0.682 1.703 2.123
C 0.712 0.009 -0.946
H -0.618 -1.413 -1.719
C -0.480 -0.566 -1.035
H 1.058 0.564 0.096
```

Calculated values
HOMO-LUMO gap (spin up / spin down) ... 7.3 / 7.1 eV
Multiplicity ... 1
Total charge ... +1
LUMO energy (spin up / spin down) ... -7.435 / -7.616 eV

No. 4
Formula: C2H3Cl
Source: the OMol25 dataset
Level of theory: ωB97M-V with the def2-TZVPD basis set

Structure (XYZ):
```
6
Properties=species:S:1:pos:R:3
H -1.669 -1.513 -0.537
C -1.838 0.556 0.228
H -1.672 1.634 0.382
Cl 2.803 0.173 -0.265
H 4.010 -0.260 0.341
C -1.635 -0.590 -0.148
```

Calculated values
HOMO-LUMO gap ... 11.2 eV
Multiplicity ... 1
Structure (SMILES) ... C#C.Cl
Total charge ... 0
LUMO energy ... 0.564 eV

No. 5
Formula: C2H3Cl2F
Source: the OMol25 dataset
Level of theory: ωB97M-V with the def2-TZVPD basis set

Structure (XYZ):
```
8
Properties=species:S:1:pos:R:3
Cl 1.220 -1.610 0.199
F -0.080 -0.062 1.556
C -0.144 -0.507 0.372
Cl -1.506 -1.466 0.172
H -0.730 1.119 -1.218
C 0.054 0.648 -0.487
H 0.962 0.484 -0.846
H 0.225 1.394 0.252
```

Calculated values
HOMO-LUMO gap ... 11.8 eV
Multiplicity ... 1
Total charge ... 0
LUMO energy ... 0.881 eV

No. 6
Formula: C2H3Cl2FO
Source: the OMol25 dataset
Level of theory: ωB97M-V with the def2-TZVPD basis set
-- stop --
Imagine this: You drive to a massive concert in a major city. When you arrive, you get out of your car, press a button on your key fob, and it drives out of town to park itself. This technology could eliminate parking congestion caused by even the largest events.
Self-parking cars will also be able to use space more efficiently. They can park too close together to open their doors. They can also double-park and then send a signal to the car parking them in when they need to get out. As a result, we may be able to fit 89% more self-parking cars in a given lot than traditional cars.
Self-parking cars promise to transform how we travel and use space in our cities. But there is one potential downside. Swarms of unregulated self-parking cars may slow traffic to a standstill.
The self-parking equation is flawed

Let’s say you get out of your Tesla in downtown San Francisco and activate auto parking mode. The car then begins to circle the block looking for parking. It communicates with the parking payment app to find empty spaces and learn how much those spaces cost. Sounds good? A critical flaw in this self-parking equation may leave your Model S circling the block indefinitely.
A recent study called “The autonomous vehicle parking problem,” published in Transport Policy (read it on Science Direct), argues that self-parking cars may cause a major problem. That is because current parking algorithms direct cars to find the cheapest parking solution. But a modern EV can cruise along for just 29 to 50 cents every hour. That includes the cost of both electricity and maintenance.
In certain towns, you may be able to find parking for under 50 cents per hour. But parking costs much more in a major city, especially with the meters charging surge prices during an event. An unregulated self-parking vehicle would turn down every open space, choosing to keep looking instead. This could leave it cruising for parking indefinitely.
The study went a step further. It calculated that just 2,000 empty cars, cruising for parking in downtown San Francisco could slow all traffic to two mph.
What comes next are calculated molecules, not part of the page:
Density functional theory data (ωB97M-V with the def2-TZVPD basis set) for an isolated molecule of C2H7N3O in a non-equilibrium geometry.

Output
- total energy (eV) = -8701.13511
- energy above the lowest of the compared OMol25 structures with the same formula, charge and spin (kJ/mol) = 496.12
- E_HOMO (eV) = -8.46
- Kohn-Sham gap (eV) = 9.44

ORCA input file:
```
! RIJCOSX wB97M-V def2-TZVPD def2/J DEFGRID3
* xyz 0 1
H -0.3530 -1.5246 0.5008
H -2.5555 -0.0840 -0.0889
H 1.6630 -0.6965 -1.3697
H 2.8847 0.1690 -0.4735
C -0.8645 1.0305 -0.2937
H -1.5527 2.0373 -0.4188
H 1.3547 0.3363 1.3896
N 1.0146 0.0922 0.4858
N -1.5926 -0.0665 0.1408
O -1.1850 -1.3791 -0.0900
H 2.2206 -1.4838 0.2940
N 0.3906 1.3191 0.0243
C 2.0529 -0.5529 -0.3179
*
```

Löwdin population analysis, charges in e, atoms 1 to 4: 0.1231, 0.1044, 0.0893, 0.0700

=====

C45H92BNO8 | ωB97M-V with the def2-TZVPD basis set

Structure (ORCA input):
```
! RIJCOSX wB97M-V def2-TZVPD def2/J DEFGRID3
* xyz 0 1
C 2.0149 4.2470 0.6073
C 2.1230 3.0189 1.5650
C 3.2574 2.0468 1.1790
C 3.1287 1.3162 -0.2109
C 1.6929 1.1465 -0.7646
C 1.5196 -0.0663 -1.7104
C 2.1587 0.1442 -3.1098
C 1.2491 -0.1404 -4.3488
C 0.8679 1.1144 -5.2075
C -0.5198 1.7743 -4.9270
C -0.8456 1.8221 -3.4253
C -1.9519 2.8388 -3.0083
C -2.3248 2.5291 -1.5328
C -2.9289 3.7217 -0.7582
C -3.4919 3.2206 0.6204
C -2.7165 2.0314 1.2476
C -3.3413 0.6480 0.9288
C -2.3309 -0.5337 0.8108
B -3.0867 -1.9208 0.9701
C -2.5901 -3.3064 0.4146
C -1.1644 -3.7379 0.9204
N -0.2171 -3.8105 -0.2015
C 1.1559 -3.3204 0.0975
C 2.1114 -4.3389 0.7411
C -0.1999 -5.1126 -0.8145
C 0.0020 -5.0780 -2.3279
O -0.3590 -6.1779 -0.1944
H 2.8862 4.2660 -0.0624
H 1.0816 4.2274 0.0308
H 2.0370 5.1897 1.1784
H 2.3650 3.4317 2.5502
H 1.1488 2.5326 1.6808
H 4.1731 2.6581 1.1448
H 3.3514 1.2863 1.9668
H 3.7226 1.8647 -0.9568
H 3.5380 0.2982 -0.0935
H 1.4352 2.0668 -1.3138
H 0.9638 1.0438 0.0517
H 1.9617 -0.9419 -1.1934
H 0.4395 -0.2742 -1.7972
H 3.0368 -0.5183 -3.1745
H 2.5404 1.1747 -3.1734
H 1.8234 -0.8069 -5.0140
H 0.3573 -0.7226 -4.0631
H 0.9532 0.8747 -6.2786
H 1.6171 1.8824 -4.9558
H -1.3079 1.1739 -5.4120
H -0.5098 2.7899 -5.3544
H -1.1829 0.8248 -3.0950
H 0.0545 2.1318 -2.8814
H -1.4945 3.8405 -3.0847
H -2.8360 2.7543 -3.6595
H -2.9716 1.6422 -1.5349
H -1.3646 2.2728 -1.0484
H -3.7836 4.1162 -1.3301
H -2.1641 4.4854 -0.5758
H -3.4723 4.0480 1.3414
H -4.5243 2.8710 0.4583
H -2.7736 2.1399 2.3441
H -1.6470 2.0273 0.9982
H -4.0125 0.3912 1.7622
H -3.9714 0.6836 0.0284
H -1.5789 -0.4227 1.6107
H -1.7932 -0.4846 -0.1503
H -4.1477 -1.8950 1.5311
H -3.3169 -4.1003 0.6366
H -2.5165 -3.2103 -0.6823
H -1.2965 -4.7131 1.4072
H -0.8063 -3.0304 1.6794
H 1.0525 -2.4650 0.7799
H 1.6105 -2.9764 -0.8467
H 1.7114 -4.7831 1.6646
H 2.4272 -5.1214 0.0397
H 3.0322 -3.8034 1.0242
H -0.7588 -4.4060 -2.7522
H -0.0969 -6.0854 -2.7549
H 0.9882 -4.6436 -2.5532
C 6.7773 -3.8277 -0.1313
C 5.8321 -4.3688 -1.1737
C 6.4495 -4.9011 -2.4455
O 4.6325 -4.3794 -1.0008
H 6.2132 -3.4849 0.7326
The solution for the self-driving car traffic problem

If we allow self-driving cars always to select the cheapest parking option, some may choose to cruise around indefinitely instead of paying for parking. Cities will have to impose some form of control.
One option is to ticket self-driving cars for cruising for too long. But choosing who to fine could be problematic. For example, if a self-driving car in taxi mode is cruising around, waiting for a ride request, it is hardly fair to give its owner a ticket.
- - -
1.
Molecular formula: C10H15INO6P
Method: DFT, the ωB97M-V functional and the def2-TZVPD basis

```
34
C10H15INO6P (the ωB97M-V functional and the def2-TZVPD basis)
C -1.876 -1.841 2.182
C -1.281 -0.659 2.968
C -0.400 0.277 2.172
I -1.465 1.101 0.490
O 0.752 -0.355 1.615
P 1.842 -1.002 2.583
O 1.805 -0.582 3.981
O 1.668 -2.558 2.339
O 3.212 -0.674 1.840
C 4.097 0.220 2.481
O 3.492 1.500 2.483
N 3.679 2.140 3.771
O 2.798 2.849 3.995
H -2.958 -1.874 2.285
H -1.606 -1.817 1.126
H -1.505 -2.783 2.591
H -0.719 -1.030 3.828
H -2.085 -0.042 3.373
H -0.123 1.158 2.745
H 1.054 -2.749 1.623
H 4.313 -0.099 3.499
H 5.011 0.233 1.890
C -0.844 -0.419 -4.614
C -0.933 0.325 -5.782
C -1.729 1.461 -5.823
C -2.438 1.852 -4.695
C -2.353 1.104 -3.529
C -1.555 -0.030 -3.487
H -0.219 -1.302 -4.581
H -0.382 0.019 -6.662
H -1.797 2.042 -6.733
H -3.058 2.739 -4.726
H -2.910 1.408 -2.651
H -1.487 -0.610 -2.575
```

Kohn-Sham gap: 0.3434 hartree
E_HOMO: -9.376 eV
strongest force on any atom: 0.01116 Eh/bohr
structure (SMILES): CC[C@H](I)O[P@@](=O)(O)OCON=O.c1ccccc1



2.
Molecular formula: C30H84N6O9
Method: DFT, the ωB97M-V functional and the def2-TZVPD basis

```
129
C30H84N6O9 (the ωB97M-V functional and the def2-TZVPD basis)
C 0.184 -6.579 0.170
O 1.313 -5.798 -0.254
C 1.549 -4.631 0.483
C 2.736 -3.852 -0.119
C 4.028 -4.632 -0.218
N 2.900 -2.503 0.453
H 0.077 -7.476 -0.441
H -0.745 -6.009 0.179
H 0.320 -6.850 1.217
H 0.666 -3.992 0.452
H 1.765 -4.972 1.495
H 2.415 -3.572 -1.123
H 4.810 -3.997 -0.633
H 3.884 -5.392 -0.986
H 4.293 -5.186 0.682
H 3.722 -2.102 0.025
H 2.225 -1.907 -0.006
C -2.228 2.587 0.011
O -1.082 2.937 0.795
C -0.893 4.358 0.993
C -0.094 5.006 -0.217
C 1.332 4.456 -0.407
N 0.135 6.429 0.046
H -3.166 2.991 0.392
H -2.302 1.505 -0.095
H -2.185 2.927 -1.024
H -1.839 4.886 1.121
H -0.375 4.465 1.946
H -0.762 4.962 -1.078
H 1.845 4.296 0.541
H 2.014 5.082 -0.981
H 1.279 3.513 -0.952
H 0.681 6.377 0.895
H 0.810 6.768 -0.624
C -2.549 0.745 -4.824
O -1.735 1.459 -5.749
C -0.346 1.222 -5.568
C 0.517 1.778 -6.665
C 0.296 0.887 -7.906
N 1.933 1.735 -6.280
H -3.534 1.186 -4.973
H -2.213 0.929 -3.804
H -2.679 -0.327 -4.971
H -0.044 1.703 -4.639
H -0.191 0.149 -5.452
H 0.346 2.831 -6.888
H 0.942 1.288 -8.688
H -0.725 1.148 -8.183
H 0.458 -0.160 -7.652
H 2.091 2.519 -5.662
H 2.522 1.952 -7.071
C -6.625 -1.107 -5.011
O -5.686 -2.043 -4.508
C -4.944 -1.508 -3.383
C -5.702 -1.894 -2.114
C -5.055 -1.345 -0.908
N -5.774 -3.409 -2.087
H -7.279 -1.554 -5.760
H -6.060 -0.298 -5.472
H -7.268 -0.715 -4.223
H -3.925 -1.894 -3.359
H -4.740 -0.437 -3.386
H -6.737 -1.572 -2.229
H -5.098 -0.260 -0.816
H -4.002 -1.630 -0.908
H -5.453 -1.637 0.064
H -4.818 -3.701 -1.943
H -5.977 -3.598 -3.059
C -0.218 -1.601 -1.929
O 0.762 -1.320 -0.890
C 0.662 0.002 -0.366
C 1.111 0.005 1.136
C 0.169 -0.796 2.097
N 1.132 1.348 1.735
H -1.181 -1.823 -1.469
H 0.089 -2.539 -2.392
H -0.254 -0.812 -2.680
H 1.388 0.572 -0.947
H -0.303 0.506 -0.420
H 2.116 -0.393 1.277
H 0.204 -1.843 1.798
- - -
A second option would be charging vehicle owners for entering or staying in an especially congested area of a city. This way, a self-driving car would be financially rewarded for getting out of the gridlock and finding cheap parking, even if it must drive further to do so.
Next, find out 3 potential downsides to self-driving cars or learn more about how driverless cars may change cities in the video below: